Over the past year, parties to the UNFCCC have taken significant steps to advance the concept of reducing emissions from deforestation and forest degradation in developing countries, and the role of conservation, sustainable management of forests and the enhancement of carbon stocks (REDD+).

The close of the 19th session of the Conference of the Parties (COP 19) to the UNFCCC saw the adoption of the Warsaw Framework for REDD+, which sets out the guidelines for developing country parties to receive results-based payments for verified emissions reductions in the forest sector.

However, the Warsaw Framework does not address non-carbon benefits of REDD+ or provide methodological guidance on non-market-based approaches for the implementation of REDD+. Parties continued discussions of these aspects of REDD+ at the 40th session of the Subsidiary Bodies to the UNFCCC (SB 40), which took place from 4-15 June 2014, in Bonn, Germany. The Subsidiary Body for Scientific and Technological Advice (SBSTA) made little progress on this agenda item, and further consideration of these issues was postponed to future sessions.

The road leading to the Warsaw Framework was a long one, and as SB 40 demonstrated, negotiations on REDD+ are set to continue. However, international organizations, non-profits, individual States, and aid/development agencies have not waited for the conclusion of negotiations to start funneling investments into REDD+, especially for phase I, the so-called “readiness phase.” These initiatives, which include bilateral arrangements or international structures, such as the Forest Carbon Partnership Facility (FCPF) and the UN Collaborative Programme on Reducing Emissions from Deforestation (UN-REDD), have sprung up without the guidance of a globally-agreed framework for REDD+. Now that such a framework is in place, the question emerges whether these programmes, which in the meantime have developed their own methodologies for REDD+ finance, will converge toward the set of rules established under the UNFCCC.

This policy update recaps the decisions that make up the Warsaw Framework for REDD+, the outcomes related to REDD+ from SB 40, and the discussions on REDD+ finance at the seventh Standing Committee on Finance meeting (SCF 7) and the seventh Board Meeting of the Green Climate Fund (GCF). It then considers the need for coordination among the many institutions doling out REDD+ financing.

Warsaw Framework for REDD+

The Framework adopted in November 2013 at COP 19 in Warsaw, Poland, brought REDD+ closer to being operational as a global mechanism under the UNFCCC. Questions on monitoring, reference levels (i.e. business-as-usual (BAU) baselines against which emissions reductions are measured), and an online platform for information sharing were resolved. Parties agreed that the GCF would play an important role in channeling REDD+ payments to developing country governments, and that results-based payments will depend partially on the submission of a reference level for review by experts from an assessment team. Assessment guidelines and procedures were also established, so that developing countries know how their reference levels will be evaluated.

In addition, developing countries wanting to participate in GCF REDD+ activities will have to establish national forest monitoring systems (NFMS) as a basis for estimating forest-related greenhouse gas (GHG) emissions if they do not yet have such systems in place. Changes in emissions levels will be measured against respective national reference levels. In addition, parties officially mandated a link between safeguards (such as respecting livelihoods, the rights of indigenous peoples and local communities, and biodiversity) and payments. REDD+ beneficiaries must submit summaries identifying strategies to address the safeguards framework. Furthermore, all information submitted, including data on payments, should be posted on an “information hub” that parties requested the Secretariat to create.

-- Molecular data that have nothing to do with the page --
-- begin --
(1)
Entry from the Open Molecules 2025 dataset: a cluster of 2 separate species, C10H18FN3O3 in total in a non-equilibrium geometry (ωB97M-V with the def2-TZVPD basis set).

The geometry in XYZ format:
```
35
Properties=species:S:1:pos:R:3:mulliken_charge:R:1
F -0.02967 -2.52666 -2.38846 -0.3768
O 0.65897 -4.11595 2.50608 -0.6197
O 0.99236 3.92259 -0.77365 -0.5904
O -0.75359 1.12062 -0.34642 -0.3158
N -1.07670 0.09195 -3.83065 -0.5085
N 1.35882 -0.21010 1.91386 -0.6184
N 2.17916 -0.90444 -1.57136 -0.6695
C -1.15016 2.50133 -0.53739 -0.7429
C 1.23197 -0.40383 0.72049 -0.2221
C 0.03066 -2.04279 -1.00574 -0.1494
C 0.13672 0.64961 -1.37814 0.0695
C 0.86889 -0.67974 -0.84385 1.2473
C -0.15309 3.59278 0.09267 0.3047
C -1.43140 -2.03636 -0.34320 -0.4695
C -0.52197 0.50168 -2.82892 -0.0161
C -1.34688 -2.46579 1.23166 -0.7943
C 0.31609 3.27008 1.60604 -1.0618
H -2.04464 -1.08731 -0.52240 0.1710
H -0.44862 2.64671 2.19976 0.2491
H 1.51376 -3.86916 2.88328 0.2832
H -1.01161 -1.57644 1.88423 0.1509
H 0.96969 1.45719 -1.48230 0.4473
H -2.16275 2.62517 0.02046 0.3132
H 2.71065 -0.02441 -1.48885 0.3411
H 0.47264 4.29437 2.12767 0.3174
H 1.31247 2.70720 1.63266 0.2533
H -0.51506 -3.27292 1.32102 0.2296
H 0.63553 -2.86223 -0.44306 0.3310
H 0.30385 -4.75993 3.13270 0.2813
H 2.66821 -1.68607 -1.08585 0.3597
H -0.76256 4.58360 0.16139 0.3002
H 0.74973 3.60239 -1.67382 0.3581
H -1.35345 2.80804 -1.62407 0.3762
H -2.32622 -2.95118 1.58528 0.3787
H -2.02179 -2.90000 -0.85112 0.3925
```

- LUMO: 0.42 eV
- E_HOMO: -10.46 eV
- Molar mass: 247.27 g mol⁻¹
- Energy relative to the best compared isomer or geometry (same formula, charge and spin): 53.8 kcal/mol
- E_tot: -23987.4071 eV
- Gap between HOMO and LUMO: 10.8818 eV

(2)
Entry from the Open Molecules 2025 dataset: a structure of composition C10H18MgO12S in a non-equilibrium geometry (ωB97M-V with the def2-TZVPD basis set).

The geometry in XYZ format:
```
42
Properties=species:S:1:pos:R:3:mulliken_charge:R:1
S -2.03741 1.57570 -1.06758 1.3073
Mg 0.15457 0.37443 0.42868 1.8790
O 1.13035 1.92901 -0.44352 -0.2309
O 1.84951 3.52784 -1.88586 -0.2839
O -3.03850 1.39098 -0.03245 -0.4516
O -1.17291 -1.60533 0.90990 -0.7563
O 3.30087 1.95815 -1.23221 -0.2579
O -1.00988 0.51530 -0.88055 -0.4228
O 1.67756 -0.82267 0.83943 -0.8259
O -2.62233 1.71129 -2.38631 -0.6647
O -1.48911 2.81986 -0.58255 -0.4454
O -2.53322 -3.40458 0.74422 -0.3591
O -0.61889 1.48473 2.02692 -0.8217
O -3.36902 -1.43315 1.11708 -0.2552
C -4.35049 -4.85245 1.45293 -1.4134
C 1.98409 2.42790 -1.13896 0.5019
C -2.27702 -2.15129 0.93084 0.4674
C 2.83802 -1.49798 0.34377 -0.9065
C 5.06511 2.11868 -2.85279 -1.3882
C -0.31835 1.15376 3.36878 -0.8010
C -3.93744 -3.61513 0.66163 0.4766
C 3.11881 3.78185 -2.50654 -0.5333
C -4.50301 -2.28126 1.11554 -0.4876
C 4.11078 2.87931 -1.89547 0.3490
H -3.97737 -4.69357 2.46468 0.3562
H -5.43801 -4.89247 1.51440 0.3598
H 5.81648 2.68181 -3.40635 0.3558
H 3.79041 -1.21958 0.79494 0.2523
H -3.92867 -5.79973 1.11702 0.3322
-- stop --

June 2014 UNFCCC Negotiations

During SBSTA 40’s opening statements, a number of developing country parties were hopeful the meeting could result in progress toward methodological guidance for using non-market-based approaches, as well as in identifying and incentivizing non-carbon benefits. However, during an in-session expert meeting on non-market-based approaches for REDD+, other developing country parties, as well as some developed countries, indicated that the Warsaw Framework for REDD+ provides sufficient methodological guidance and noted that non-market-based approaches are being negotiated under other agenda items. Some of these parties suggested closing the agenda item, arguing that there was no need for further methodological guidance. Others pointed out that joint mitigation and adaptation, being a non-market-based approach, was within the mandate of the agenda item.

Consideration of methodological guidance relating to non-carbon benefits – the social, environmental, and governance benefits associated with REDD+ – occupied a good portion of the SBSTA discussions. However, there was significant disagreement about the need for any specific guidance for incentivizing such benefits, which advance, for example, the preservation of ecosystem services or biodiversity conservation. Because of the diverse nature of these benefits, some parties were reluctant to attempt to develop guidance of international relevance on non-carbon benefits, while others insisted on the importance of such guidance.

In the end, parties agreed to continue considering methodological issues related to non-carbon benefits in 2015 at SBSTA’s 42nd session and to discuss non-market-based approaches at SBSTA 41, to be held in Lima, Peru (FCCC/SBSTA/2014/L.8).

Outside the SBSTA proceedings, REDD+ also came up during a Technical Expert Meeting (TEM) on land-use held on 11 June. The World Bank and the Center for International Forestry Research (CIFOR) emphasized that landscape approaches should be used in implementing REDD+, indicating that more than just carbon quantities should be taken into account when carrying out mitigation action in the forestry sector. Along the same lines, participants noted the linkages among forestry, agriculture, bioenergy and food security. Some participants in the TEM suggested that REDD+ be accelerated by integrating decision making across the land sector. However, the complexity of REDD+ impedes formally linking it with other sectors within the negotiations.


Also in Bonn, during the fifth part of the second session of the Ad Hoc Working Group on the Durban Platform for Enhanced Action (ADP 2-5) and the Ministerial Dialogue on the Durban Platform, the need to capitalize the GCF was underscored. Much anticipation around whether the GCF will be able to provide the necessary financing for REDD+ surrounds the ongoing efforts to operationalize the Fund. Some parties suggested COP 20 should open a REDD+ window in the GCF. During the TEM on land-use, the GCF reported that its initial focal areas include REDD+ implementation and sustainable forest management (SFM).

Unrelated to this article: records of molecules >
........
Density functional theory data (the ωB97M-V functional and the def2-TZVPD basis) for 11 unconnected molecules or ions with the total composition C51H81F8N3O27.

XYZ file:
```
170
Properties=species:S:1:pos:R:3:forces:R:3
C 1.684451 -5.768580 -0.123587 -0.276 2.181 -0.267
C 0.739804 -6.326248 1.007951 -1.181 -3.176 -1.153
C 0.771942 -7.903445 0.884398 1.285 -0.980 1.215
C 2.100253 -8.644692 1.375319 -1.405 1.050 -1.248
C 2.689505 -7.993000 2.603776 0.937 0.218 0.576
C 2.391541 -6.462203 3.013274 0.799 -3.465 0.168
N 1.145146 -5.970486 2.398398 1.456 1.325 -1.060
O 0.885190 -4.649941 2.740991 0.369 -1.858 0.071
C 2.257533 -6.445366 4.557934 -0.856 2.396 0.038
C 3.554556 -5.564071 2.557055 0.027 0.282 -0.413
C -0.808362 -6.034094 0.817543 0.648 1.518 0.056
H 2.537203 -6.283518 -0.566016 -0.133 -0.907 0.973
H 2.049045 -4.753891 0.036317 0.299 0.091 1.019
H 1.156101 -5.446816 -1.021033 -1.086 -0.791 -0.005
H -0.035511 -8.334374 1.476351 -0.283 0.231 -0.097
H 0.609215 -8.150511 -0.164681 -0.152 0.150 0.099
H 2.752006 -8.689025 0.502761 0.479 0.495 0.228
H 1.957677 -9.705771 1.579981 -0.612 0.106 0.076
H 3.762336 -8.162377 2.511871 0.381 0.940 -0.145
H 2.596962 -8.602408 3.502754 -1.103 0.048 0.029
H 2.287868 -5.361103 4.665500 -0.184 0.213 1.035
H 1.308061 -6.768064 4.985106 -0.198 -0.232 -0.552
H 3.002321 -6.818591 5.260868 0.587 -0.435 -1.047
H 3.997218 -5.947725 1.637843 -0.099 0.054 0.025
H 3.202917 -4.549585 2.369305 0.206 0.063 0.138
H 4.327936 -5.558089 3.325142 -0.131 -0.027 0.032
H -1.460975 -6.253301 1.662613 0.565 -0.024 0.616
H -1.340269 -6.584083 0.041217 0.917 -0.188 -0.414
H -0.909177 -4.972970 0.589596 -0.269 0.123 -0.048
H -0.037497 -4.717202 2.997363 -0.942 0.739 -0.015
C -1.470073 1.875916 -6.099335 -0.018 0.106 0.812
C -2.683802 1.324756 -5.326257 -0.879 0.332 -1.663
C -3.580469 2.564309 -5.197743 -0.311 0.429 2.682
C -5.068688 2.394400 -4.782342 1.791 -0.567 -3.603
C -5.523206 1.485298 -5.963136 -0.768 -0.503 0.815
C -4.780469 0.100945 -6.176374 -1.764 0.561 1.370
N -3.355549 0.335996 -6.250078 1.209 2.111 -0.713
O -2.425425 -0.695203 -6.581552 -1.466 0.253 0.282
C -5.081434 -0.803657 -4.995673 -0.936 -1.097 1.344
C -5.454705 -0.511220 -7.418895 1.118 -0.434 -0.020
C -2.291045 0.778072 -3.949700 -0.471 1.252 0.359
H -1.329246 2.927428 -5.849176 -0.022 0.068 0.207
H -1.728846 1.862003 -7.158086 0.646 -0.481 0.016
H -0.571495 1.384640 -5.726103 0.219 -0.296 -0.925
H -3.164398 3.185286 -4.404415 0.600 -0.131 0.175
H -3.570453 3.283546 -6.016701 0.151 -0.725 -0.651
H -5.343653 3.407592 -5.075529 -1.240 -0.042 1.047
H -5.303363 2.029976 -3.782233 0.060 0.251 -0.163
H -5.505501 1.985580 -6.931386 0.469 0.460 0.171
H -6.588910 1.314302 -5.810973 -0.146 -0.721 -0.150
H -6.129938 -0.976425 -4.753023 -0.512 0.331 -0.627
H -4.743813 -1.831828 -5.125928 0.549 -0.089 -0.305
H -4.739642 -0.482675 -4.011671 0.659 0.383 -0.214
H -6.475691 -0.864398 -7.274185 0.074 0.097 0.613
H -5.519201 0.162268 -8.273503 0.516 0.009 -0.002
........

Currently, forest financing comes from scattered sources, and question marks surround the future of REDD+ financing. Some cooperative efforts, such as between UN-REDD and the FCPF, to consolidate financing are yielding positive results for REDD+ readiness, but as financing is scaled to move beyond the readiness and pilot programme phases, will cooperation and coordination efforts be scaled as well? Will the capitalization of the GCF lead to a convergence of REDD+ finance under the GCF? Or will donor countries, funds, and UN programmes continue to fund REDD+ independent of one another?

Seventh Meeting of UNFCCC Standing Committee on Finance (SCF 7)

Immediately following the SB 40 and ADP meetings in Bonn, the SCF held its seventh meeting from 16-18 June, and addressed, among other agenda items, “coordination and coherence: the issue of financing for forests, taking into account different policy approaches.” A member of the Committee noted that, in part because of the absence of a global instrument on forests, there is no specific financial mechanism for forests, and thus, neither a dedicated secretariat nor predictability in finance.

SCF members were cognizant of the need to coordinate among the various bodies working on forest finance. Yet, although the background paper serving as the basis for discussion suggests funneling most REDD+ finance primarily through the GCF, most members expressed hesitation at this idea. Committee members were not satisfied that the paper provides a full picture of forest-related finance outside of REDD+. As a result, the Committee did not feel it was in a position to offer recommendations.


Admittedly, there is much forest-related finance to be considered outside of REDD+, but the SCF’s decision to delay consideration of this issue represents a missed opportunity. Within REDD+ alone, ample opportunity exists for better coordination of finance. The first two phases of REDD+, readiness and pilot programmes, have largely been implemented through bilateral agreements, assistance through multilateral banks/funds and other forms of aid. In addition, an increasing focus outside the UNFCCC process is being placed on engaging the private sector in REDD+. This multitude of actors working on REDD+ results in a tug of war over how developing countries should best manage their forests and where to turn for financing their efforts in this area. While much progress was achieved on methodological guidance for developing countries to receive results-based payments and on institutional issues under the UNFCCC at COP 19, little progress has been made in creating cohesion between these decisions and the work of bodies outside the UNFCCC process.

Here the entry breaks off for data records:
____________
A structure of composition C13H26FeN4OP2S at a distorted geometry, computed with the ωB97M-V functional and the def2-TZVPD basis.

ORCA input file:
```
! RIJCOSX wB97M-V def2-TZVPD def2/J DEFGRID3
* xyz 2 7
Fe -0.3643 0.0049 0.2991
P 0.5220 2.0201 0.2361
P 1.4591 -1.2162 0.4735
N -1.8454 0.8158 -0.6712
N -1.1106 -1.6246 -0.6149
H -3.3568 0.2433 -2.1292
H -3.1273 -2.2299 -0.9536
H -3.6516 -0.0620 -0.3552
C -2.9034 -0.0933 -1.1658
H -2.2372 -1.7442 -2.4022
C -2.3752 -1.5163 -1.3271
H -2.4761 2.4715 -1.9827
H -0.8873 -3.6924 -1.0621
C -1.6035 1.8968 -1.5859
C -0.4309 -2.7795 -0.6263
H -1.0391 3.6193 -0.5646
C -0.4733 2.8111 -1.0574
H 0.1463 3.2580 -1.8547
H 2.6049 -1.1112 -0.3544
H 2.0737 -1.5600 1.7101
H 1.8470 2.3681 -0.1246
H 0.3344 2.9213 1.3137
O 1.7614 0.4690 -1.9392
C 1.6216 0.2348 -3.1612
C 1.2088 1.4347 -4.0530
C 1.3229 -1.1704 -3.6633
H -1.2964 1.3282 -2.4519
H 0.5177 2.0664 -3.4590
H 2.0920 2.0314 -4.3364
H 0.6510 1.0702 -4.9251
H 0.7442 -1.7336 -2.8967
H 0.5949 -1.0510 -4.4818
H 2.2185 -1.7462 -3.9622
C 0.8483 -2.8115 -0.0899
H 1.4698 -3.7223 -0.0700
C 0.4031 -1.9447 4.2042
N 0.4192 -0.4903 4.2117
C 1.1431 0.3053 5.1049
C 0.8932 1.5959 4.7705
N 0.0429 1.5644 3.6730
C -0.2584 0.2844 3.3283
S -1.3827 -0.2941 2.1535
H -0.6212 -2.3168 4.2917
H 0.8072 -2.3458 3.2670
H 0.9954 -2.3070 5.0507
H 1.7345 -0.1349 5.8904
H 1.2430 2.5218 5.2063
H -0.2795 2.3617 3.1368
*
```

Properties
<S²>: 12.063
Kohn-Sham gap (alpha / beta), hartree: 0.3212 / 0.2364
Highest occupied orbital energy (alpha / beta), eV: -13.92 / -14.66
ΔE to the lowest compared entry with this formula, charge and spin, kJ/mol: 0.0
E_LUMO (alpha / beta), hartree: -0.1905 / -0.3025

=====

47
Properties=species:S:1:pos:R:3 method="wB97M-V/def2-TZVPD" fmax_ev_per_a=6.14 relative_energy_kcal_mol=88.9 charge=+1 spin_multiplicity=1 e_lumo_ev=-4.498 total_energy_ev=-45375.28928
N 5.244 6.097 -13.044
H 5.096 6.664 -12.222
H 5.915 5.356 -12.896
H 5.390 6.663 -13.868
H 4.426 5.628 -13.406
N 3.166 4.560 -19.933
H 2.809 4.255 -20.827
H 2.354 4.735 -19.359
H 3.685 5.425 -19.980
H 3.680 3.806 -19.499
C -1.616 5.835 -14.054
C -0.550 5.263 -14.998
O 0.440 4.710 -14.441
O -0.728 5.317 -16.258
H -2.341 6.503 -14.518
H -1.200 6.424 -13.237
H -2.209 5.061 -13.567
C 0.059 1.169 -8.896
C -1.357 1.610 -8.852
O -1.850 0.946 -10.084
C -1.083 -0.191 -10.292
O -1.317 -1.013 -11.147
O -0.092 -0.177 -9.330
F -1.396 2.931 -8.953
H 0.532 1.348 -7.931
H 0.636 1.698 -9.655
H -2.030 1.315 -8.047
C -9.666 7.779 -10.903
C -8.728 8.428 -11.828
O -9.599 9.142 -12.759
C -10.869 8.690 -12.630
O -11.865 9.067 -13.285
O -10.931 7.895 -11.593
F -8.146 7.568 -12.643
H -9.556 8.198 -9.903
H -9.359 6.736 -10.818
H -7.984 9.074 -11.362
C -4.942 0.600 -15.765
C -5.554 1.743 -16.427
O -6.749 1.934 -15.744
C -6.868 1.032 -14.787
O -7.838 0.900 -14.043
O -5.839 0.301 -14.714
F -5.848 1.374 -17.729
H -3.914 0.784 -15.452
H -4.910 -0.191 -16.514
H -4.925 2.633 -16.387

=====

# C18H17N3O5
____________

At the seventh Board Meeting of the GCF, which took place from 18-21 May, the final six items needed to operationalize the Fund were agreed, including an initial Results Management Framework (RMF). The RMF, as it applies to REDD+, differentiates itself from the Warsaw Framework in that it will also be used for ex ante payments. However, plans for more specific guidance on REDD+ are in the pipeline, as the Board requested the Secretariat to “develop a logic model and performance framework for ex post REDD+ results-based payments, in accordance with the methodological guidance in the Warsaw Framework for REDD+, for consideration at the third Board meeting of 2014.” As an operating entity of the financial mechanism of the UNFCCC, the GCF’s REDD+ approach should be in line COP decisions.

Entities not beholden to the UNFCCC COP, however, can continue to operate as they please, and it may prove impossible to pull REDD+ finance under one umbrella. Current REDD+ initiatives tend to follow their own methodologies. The Forest Carbon Partnership Facility (FCPF), which was originally intended to sunset once the GCF became operational, has recently completed a methodological framework for its Carbon Fund based on its experience thus far, and there is no indication that the FCPF will twilight soon. Likewise, UN-REDD, at its recent policy board meeting, adopted a roadmap for the development of a new strategy beyond 2015. Meanwhile, the Food and Agriculture Organization of the UN (FAO) takes its own approach to REDD+, based on its Strategic Framework.

Donor countries also continue to offer REDD+ funds to developing forest countries through bilateral agreements, making their own stipulations as they do so. Norway, through its Climate and Forest Initiative, and Germany, through its REDD Early Movers Programme, have taken this approach while REDD+ issues were being sorted under the UNFCCC. Despite the adoption of the Warsaw Framework, donor countries inclined to do so cannot be prevented from making bilateral deals under their own terms and conditions.

The primary implication of having various scattered institutions distributing REDD+ finance is that developing countries, their capacity already stretched, have to follow different rules, produce different documents and reach different benchmarks depending on where they turn for REDD+ financing. Partnerships are already emerging to address this – such as between UN-REDD and the FCPF who develop joint policy pieces on a number of issues in order to ensure coherence among programmes. Furthermore, agencies are emerging at the national level to manage different funding sources, such as the national REDD+ agency in Indonesia, which has significant authority in terms of setting rules and procedures. Despite the SCF’s hesitation about a convergence toward the GCF, it would seem that funneling REDD+ funds through one institution would streamline the process for developing countries, make expectations clearer and avoid duplication of efforts.

Next Up: Lima

Expectations are high for COP 20, which will convene in Lima, Peru, in December, as it is the last negotiating session of the COP before a new legal instrument is to be agreed in Paris in 2015. In Bonn, some developing countries expressed support for including REDD+ in the negotiations of a global agreement, in particular the inclusion of the Warsaw Framework for REDD+.

Regardless of whether the Framework is enshrined in the new agreement, UNFCCC parties and the GCF can take a number of actions between now and Lima to build confidence in the efficacy and authority of the guidance created at COP 19. From capitalizing the GCF, to submitting reference levels, to completing the GCF’s “logic model and performance framework,” showing the Warsaw Framework in action will be the most expedient way to encourage convergence to its methodology. If parties, as recipients and donors in the many existing REDD+ financial agreements, show solidarity for the agreed framework and see to it that results-based payments can begin flowing, they will perhaps give rise to a certain cohesion in the way current REDD+ institutions operate, making it easier for recipient countries to access finance and realize results.


The author would like to acknowledge and thank Jennifer Allan, Alice Bisiaux, Annalisa Savaresi and Jaime Webbe for their valuable comments and contributions to this Update.